Could you quote the data below from the line with "0.087 -0.180" to the end verbatim?
-- begin --
12
Lattice="2.585 -4.487 0.000 2.585 4.487 0.000 -1.702 0.000 4.812" Properties=species:S:1:pos:R:3 comment="Li4HfGaO6, optimized geometry, DFT GGA-PBE" dft_energy_ev_per_fu=-76.76 pbc="T T T"
Li 0.000 0.000 0.000
Li 2.585 1.226 0.000
Li 2.585 -1.698 0.000
Li 1.734 -3.130 2.406
Hf 1.734 2.845 2.406
Ga 1.734 -0.139 2.406
O 0.938 1.319 1.253
O 0.087 -0.180 3.540
O 0.873 -1.549 1.258
O 2.530 1.319 3.559
O 3.382 -0.180 1.272
O 2.596 -1.549 3.554

---

8
Lattice="4.347 0.000 0.000 0.000 4.347 0.000 0.000 0.000 15.115" Properties=species:S:1:pos:R:3 comment="Pm2Pr3Ag3, optimized geometry, DFT GGA-PBE" e_form_ev_per_fu=4.08 pbc="T T T"
Pm 0.000 2.174 2.896
Pm 2.174 0.000 12.220
Pr 0.000 0.000 0.000
Pr 2.174 2.174 0.000
Pr 2.174 2.174 7.558
Ag 0.000 0.000 4.942
Ag 0.000 0.000 7.558
Ag 0.000 0.000 10.174

---

28
Lattice="7.115 0.000 0.000 0.000 6.868 0.000 -6.892 0.000 12.471" Properties=species:S:1:pos:R:3 comment="Na3FeS3, optimized geometry, DFT GGA-PBE" dft_energy_ev_per_fu=-30.66 pbc="T T T"
Na -1.868 0.089 3.514
Na -5.314 3.345 9.749
Na -1.378 0.091 7.427
Na 2.067 3.343 1.192
Na -0.987 3.533 7.669
Na 2.459 6.769 1.434
Na -2.236 0.099 11.037
Na 1.210 3.335 4.801
Na -1.844 3.525 11.279
Na 1.602 6.777 5.043
Na 5.538 3.524 2.722
Na 2.092 6.779 8.957
Fe -2.929 4.302 5.312
Fe -6.375 6.001 11.547
Fe 6.598 0.867 0.924
Fe 3.153 2.567 7.159
S -6.299 1.390 11.520
S -2.853 2.044 5.285
S 0.564 1.534 2.773
S -2.882 1.900 9.009
S -0.847 5.118 5.343
S -4.293 5.185 11.579
S 4.516 1.684 0.892
S 1.070 1.750 7.127
S 3.105 4.968 3.462
S -0.341 5.334 9.697
S 3.076 4.825 7.186
S 6.522 5.478 0.950

---

12
Lattice="1.990 -7.020 0.000 1.990 7.020 0.000 0.000 0.000 10.788" Properties=species:S:1:pos:R:3 comment="NdTlNiS3, optimized geometry, DFT GGA-PBE" dft_energy_ev_per_fu=-30.87 pbc="T T T"
Nd 0.000 0.000 0.000
Nd 0.000 0.000 5.394
Tl 1.990 3.486 8.091
Tl 1.990 -3.486 2.697
Ni 1.990 0.355 2.697
-- stop --
O 0.087 -0.180 3.540
O 0.873 -1.549 1.258
O 2.530 1.319 3.559
O 3.382 -0.180 1.272
O 2.596 -1.549 3.554

---

8
Lattice="4.347 0.000 0.000 0.000 4.347 0.000 0.000 0.000 15.115" Properties=species:S:1:pos:R:3 comment="Pm2Pr3Ag3, optimized geometry, DFT GGA-PBE" e_form_ev_per_fu=4.08 pbc="T T T"
Pm 0.000 2.174 2.896
Pm 2.174 0.000 12.220
Pr 0.000 0.000 0.000
Pr 2.174 2.174 0.000
Pr 2.174 2.174 7.558
Ag 0.000 0.000 4.942
Ag 0.000 0.000 7.558
Ag 0.000 0.000 10.174

---

28
Lattice="7.115 0.000 0.000 0.000 6.868 0.000 -6.892 0.000 12.471" Properties=species:S:1:pos:R:3 comment="Na3FeS3, optimized geometry, DFT GGA-PBE" dft_energy_ev_per_fu=-30.66 pbc="T T T"
Na -1.868 0.089 3.514
Na -5.314 3.345 9.749
Na -1.378 0.091 7.427
Na 2.067 3.343 1.192
Na -0.987 3.533 7.669
Na 2.459 6.769 1.434
Na -2.236 0.099 11.037
Na 1.210 3.335 4.801
Na -1.844 3.525 11.279
Na 1.602 6.777 5.043
Na 5.538 3.524 2.722
Na 2.092 6.779 8.957
Fe -2.929 4.302 5.312
Fe -6.375 6.001 11.547
Fe 6.598 0.867 0.924
Fe 3.153 2.567 7.159
S -6.299 1.390 11.520
S -2.853 2.044 5.285
S 0.564 1.534 2.773
S -2.882 1.900 9.009
S -0.847 5.118 5.343
S -4.293 5.185 11.579
S 4.516 1.684 0.892
S 1.070 1.750 7.127
S 3.105 4.968 3.462
S -0.341 5.334 9.697
S 3.076 4.825 7.186
S 6.522 5.478 0.950

---

12
Lattice="1.990 -7.020 0.000 1.990 7.020 0.000 0.000 0.000 10.788" Properties=species:S:1:pos:R:3 comment="NdTlNiS3, optimized geometry, DFT GGA-PBE" dft_energy_ev_per_fu=-30.87 pbc="T T T"
Nd 0.000 0.000 0.000
Nd 0.000 0.000 5.394
Tl 1.990 3.486 8.091
Tl 1.990 -3.486 2.697
Ni 1.990 0.355 2.697